The inquiry into discrimination in the Conservative party has published its report. Led by Professor Swaran Singh, a former commissioner of the Equality and Human Rights Commission (EHRC), the inquiry looked into complaints of discrimination made to the party between 2015 and 2020. The 44,000-word report details multiple troubling examples of Islamophobia but ultimately fails to acknowledge key incidents as such.
The catalyst for the Singh report came in 2018 when the Muslim Council of Britain called for an independent inquiry into Islamophobia in the party. The council had compiled a dossier detailing near-weekly incidents involving various party members and was supported in its call by, among others, Baroness Sayeeda Warsi, the former party co-chair. Boris Johnson’s comments about Muslim women who wear the full face veil as looking like “letterboxes” and “bank robbers” merely added fuel to the fire.
It was the unlikely figure of Sajid Javid a year later, however, who gave the call impetus. During a BBC Conservative leadership debate, the then Home Secretary asked his rivals: “Shall we agree, guys? Shall we have an external investigation into Islamophobia?”. All, including Johnson, agreed.
But by the time Johnson was installed as leader and prime minister, he had shifted the focus of the inquiry away from Islamophobia and onto all forms of discrimination. The impact was threefold. First, it distanced the Conservatives from the very reason why an inquiry was deemed necessary: claims of widespread Islamophobia. Second, the party was able to set the parameters of its own inquiry. Finally, by subsuming Islamophobia within a broader topic of interest, the party was not only able to avert an in-depth interrogation of the problem but so too any potentially damning findings.
Hundreds of complaints
Despite Johnsons’s shift, the report says that two-thirds of all discrimination complaints analysed were anti-Muslim. In total, the party’s central database recorded 1,418 complaints between 2015 and 2020. Of these, 727 incidents were of alleged discrimination – of which 496 related to Muslims and Islam. Approximately three quarters of these involved the use of social media.
Of the third of cases that resulted in a sanction, 50% culminated in suspension and 29% expulsion from the party.
The problem, however, is likely to be far bigger than the inquiry found given that it only focused on formal complaints. Doing so is likely to have failed to take into account the regular and routine forms of Islamophobia that take place in everyday life. We know that experiences of hate and discrimination are notoriously under-reported and that Warsi has claimed that Islamophobia is “widespread [in the party] … from the grassroots, all the way up to the top”.
Zac Goldsmith’s mayoral campaign
During the inquiry, Zac Goldsmith’s 2016 London mayoral campaign was investigated. Branded “disgusting” at the time, Goldsmith published a piece in the Mail on Sunday with the headline, “Are we really going to hand the world’s greatest city to a Labour Party that thinks terrorists are its friends?”. Alongside it was a photo of the 7/7 bombings.
Goldsmith went on to paint rival Sadiq Khan as a security risk, claiming he had links with extremists prior to becoming a member of parliament and continued to support Islamic State to the present day. According to the report, only one complaint had been made about Goldsmith’s campaign: it was subsequently dismissed as unsubstantiated.
## The article is interrupted by crystal structures
-- begin --
A plane-wave DFT calculation with PBE-GGA was carried out for BaTiF3 after structural relaxation.

E_tot: -5.705 eV/atom
E_form (uncorrected): -2.619 eV per atom
Offset from the most stable computed form: 0 meV/atom

Unit cell a=4.368 b=4.368 c=4.368 alpha=90.00 beta=90.00 gamma=90.00
Sites, in units of the cell vectors:
F1 0.000 0.500 0.000
F2 0.000 0.000 0.500
F3 0.500 0.000 0.000
Ba1 0.500 0.500 0.500
Ti1 0.000 0.000 0.000

***

A plane-wave DFT calculation with PBE-GGA was carried out for Ba2Ti2F11 after structural relaxation.

E_tot: -6.269 eV/atom
E_form (uncorrected): -3.588 eV per atom

Unit cell a=7.302 b=7.302 c=15.096 alpha=90.00 beta=90.00 gamma=120.00
Sites, in units of the cell vectors:
Ba1 0.531 0.667 0.354
Ba2 0.877 0.210 0.188
Ba3 0.333 0.864 0.021
Ba4 0.333 0.123 0.521
Ba5 0.790 0.667 0.854
Ba6 0.136 0.469 0.688
Ti1 0.553 0.497 0.117
Ti2 0.164 0.886 0.258
Ti3 0.723 0.836 0.591
Ti4 0.503 0.056 0.784
Ti5 0.114 0.277 0.925
Ti6 0.944 0.447 0.451
F1 0.333 0.429 0.021
F2 0.565 0.239 0.095
F3 0.571 0.904 0.688
F4 0.812 0.307 0.557
F5 0.567 0.886 0.864
F6 0.210 0.813 0.787
F7 0.495 0.188 0.890
F8 0.602 0.790 0.120
F9 0.114 0.681 0.531
F10 0.974 0.145 0.818
F11 0.693 0.505 0.223
F12 0.096 0.667 0.354
F13 0.767 0.614 0.030
F14 0.065 0.521 0.922
F15 0.386 0.154 0.697
F16 0.674 0.435 0.428
F17 0.899 0.180 0.011
F18 0.855 0.829 0.485
F19 0.993 0.095 0.614
F20 0.846 0.233 0.363
F21 0.905 0.899 0.280
F22 0.456 0.935 0.255
F23 0.479 0.544 0.588
F24 0.820 0.719 0.678
F25 0.171 0.026 0.152
F26 0.319 0.433 0.197
F27 0.761 0.326 0.762
F28 0.100 0.653 0.178
F29 0.347 0.447 0.845
F30 0.101 0.007 0.947
F31 0.187 0.398 0.453
F32 0.281 0.101 0.345
F33 0.553 0.900 0.511

***

A plane-wave DFT calculation with PBE-GGA was carried out for Ba2TiF after structural relaxation.

E_tot: -4.024 eV/atom
E_form (uncorrected): -0.621 eV per atom
Offset from the most stable computed form: 0 meV/atom

Unit cell a=8.058 b=8.058 c=7.219 alpha=56.07 beta=56.07 gamma=90.00
Sites, in units of the cell vectors:
F1 0.500 0.500 0.000
F2 0.250 0.750 0.500
Ba1 0.529 0.125 0.250
Ba2 0.221 0.625 0.250
Ba3 0.375 0.471 0.750
Ba4 0.875 0.779 0.750
Ti1 0.000 0.000 0.000
Ti2 0.750 0.250 0.500

***

Question: Which of these has the highest E_form (uncorrected)?
Answer: Ba2TiF


No. 1
The following is a PBE-GGA calculation of AcH8Pt2Rh after structural relaxation, from Alexandria.

Lattice parameters (Å, degrees): 7.325 4.734 7.179 90.00 91.08 90.00
Space group C2/m (No. 12)
Asymmetric unit:
Ac (0.000, 0.000, 0.000) [2 per cell]
H (0.011, 0.263, 0.675) [8 per cell]
H (0.134, 0.500, 0.058) [4 per cell]
H (0.242, 0.000, 0.486) [4 per cell]
Pt (0.181, 0.500, 0.288) [4 per cell]
Rh (0.000, 0.000, 0.500) [2 per cell]

Properties
Raw total energy = -4.420 eV/atom
Total moment = 0.0 μB per formula unit

=====

No. 2
The following is a PBE-GGA calculation of Mg2GaHgAu after structural relaxation, from Alexandria.

Lattice parameters (Å, degrees): 5.629 4.551 8.165 90.00 104.67 90.00
-- stop --
From speaking to Goldsmith, the report claimed he now “accepts poor judgment in the way his campaign was conducted”. It added that Goldsmith “forcefully denies harbouring anti-Muslim sentiments or using such sentiments for political advantage”. Accordingly, Goldsmith has nothing to be accountable for.
Without wanting to resort to petty “whataboutery”, it is unlikely that “poor judgment” and a “forceful denial” would suffice – and rightly so – as regards other discriminatory phenomena. While there should be no hierarchy of hate or discrimination, again it would seem that Islamophobia does not demand the same level of scrutiny and criticality as other similar phenomena do.
Boris Johnson’s comments
The inquiry also investigated Johnson’s comments about veiled Muslim women. Splitting opinion, the report claimed those who found Johnson’s language to be offensive and in breach of the party’s code of conduct were a minority. During the inquiry, Johnson said:
I do know that offence has been taken at things I’ve said, that people expect a person in my position to get things right, but in journalism you need to use language freely. I am obviously sorry for any offence taken.
Overlooking the fact that Johnson’s comments caused a spike in verbal abuse directed at Muslim women – maybe due to no formal complaints being made – the inquiry weakly chastised the prime minister. Describing his words as “insensitive”, the inquiry reminded him of the need for “measured and appropriate language”. If “insensitive” is now a synonym for “Islamophobic”, then the inquiry was right.
Islamophobia and ambivalence
In some ways, the Singh report is similar to that of the Commission on Race and Ethnic Disparities published in April. While that report claimed no evidence of “institutional racism” in contemporary Britain, the Singh report failed to contemplate even the merest suggestion the Conservative Party was “institutionally Islamophobic”. Given the number of complaints and the senior figures implicated, it was a question that justified being asked. Failing to do so has undoubtedly left the inquiry open to criticism.
Accusations of whitewashing are far from surprising. Islamophobia is politically ambivalent: it can be routinely deployed by political actors for political and personal gain, knowing there will be no recourse or censure whatsoever due to it not being a “vote winner”. In essence, few care.
# Next to the article, the page also holds records of crystals
# Ni2Rh5 PBE relaxed
# energy of formation from the pure elements = 0.0385 eV/atom
# spin magnetization = 2.97 μB per cell
data_Ni2Rh5
_chemical_formula_sum 'Ni4 Rh10'
_symmetry_space_group_name_H-M 'I 4/m m m'
_symmetry_Int_Tables_number 139
_symmetry_space_group_name_Hall '-I 4 2'
_cell_length_a 2.707
_cell_length_b 2.707
_cell_length_c 25.519
_cell_angle_alpha 90.00
_cell_angle_beta 90.00
_cell_angle_gamma 90.00
loop_
_atom_site_label
_atom_site_type_symbol
_atom_site_fract_x
_atom_site_fract_y
_atom_site_fract_z
Ni1 Ni 0.000 0.000 0.219
Rh1 Rh 0.000 0.000 0.076
Rh2 Rh 0.000 0.000 0.349
Rh3 Rh 0.000 0.000 0.500

=====

(1)
# TbFeCo | Alexandria via LeMat-Bulk | PBE | relaxed
data_TbFeCo
_cell_length_a 5.1127
_cell_length_b 5.1027
_cell_length_c 5.1027
_cell_angle_alpha 62.17
_cell_angle_beta 59.93
_cell_angle_gamma 59.93
_space_group_name_H-M_alt 'P 1'
_space_group_IT_number 1
loop_
_space_group_symop_operation_xyz
'x,y,z'
loop_
_atom_site_label
_atom_site_type_symbol
_atom_site_fract_x
_atom_site_fract_y
_atom_site_fract_z
Co1 Co 0.5000 0.0000 0.5000
Co2 Co 0.5000 0.5000 0.0000
Tb1 Tb 0.1261 0.6239 0.6239
Tb2 Tb 0.8739 0.3761 0.3761
Fe1 Fe 0.5000 0.0000 0.0000
Fe2 Fe 0.0000 0.0000 0.0000
# Distance to the lowest polymorph of the same formula = 0.00 eV/f.u.
# Energy relative to the elements = -0.145 eV/atom



(2)
# Mg3AlZn2 | Alexandria via LeMat-Bulk | PBE | relaxed
data_Mg3AlZn2
_cell_length_a 5.6966
_cell_length_b 5.5721
_cell_length_c 8.3832
_cell_angle_alpha 109.41
_cell_angle_beta 109.86
_cell_angle_gamma 90.00
_space_group_name_H-M_alt 'P 1'
_space_group_IT_number 1
loop_
_space_group_symop_operation_xyz
'x,y,z'
loop_
_atom_site_label
_atom_site_type_symbol
_atom_site_fract_x
_atom_site_fract_y
_atom_site_fract_z
Mg1 Mg 0.9111 0.1831 0.3662
Mg2 Mg 0.5000 0.7500 0.0000
Mg3 Mg 0.5000 0.2500 0.0000
Mg4 Mg 0.4552 0.6831 0.3662
Mg5 Mg 0.0889 0.8169 0.6338
Mg6 Mg 0.5448 0.3169 0.6338
Zn1 Zn 0.6431 0.8704 0.7408
Zn2 Zn 0.9022 0.6296 0.2592
Zn3 Zn 0.0978 0.3704 0.7408
Zn4 Zn 0.3569 0.1296 0.2592
Al1 Al 0.0000 0.7500 0.0000
Al2 Al 0.0000 0.2500 0.0000
# Energy relative to the elements = -0.013 eV/atom



(3)
# Tb2DyEr3 | Alexandria via LeMat-Bulk | PBE | relaxed
data_Tb2DyEr3
_cell_length_a 5.9039
_cell_length_b 12.1025
_cell_length_c 12.1025
_cell_angle_alpha 46.57
_cell_angle_beta 43.01
_cell_angle_gamma 43.01
_space_group_name_H-M_alt 'P 1'
_space_group_IT_number 1
loop_
_space_group_symop_operation_xyz
'x,y,z'
loop_
_atom_site_label
_atom_site_type_symbol
_atom_site_fract_x
_atom_site_fract_y
_atom_site_fract_z
Dy1 Dy 0.0000 0.0000 0.0000
Dy2 Dy 0.5000 0.0000 0.0000
Er1 Er 0.5490 0.3176 0.1505
Er2 Er 0.2500 0.3921 0.6079
Er3 Er 0.0490 0.1505 0.3176
Er4 Er 0.4510 0.6824 0.8495
Er5 Er 0.7500 0.6079 0.3921
Er6 Er 0.9510 0.8495 0.6824
Tb1 Tb 0.1487 0.1502 0.5845
Tb2 Tb 0.3513 0.4155 0.8498
Tb3 Tb 0.8513 0.8498 0.4155
Tb4 Tb 0.6487 0.5845 0.1502
# Distance to the lowest polymorph of the same formula = 0.25 eV/f.u.
That same message seems to underlie the Singh report: Islamophobia in the Conservative Party is a problem – but so what? Until it is attributed with the importance it demands and on an equal footing with other discriminatory phenomena, insensitivity and poor judgment will continue to be excuses for being Islamophobic.